-- Source --
┌──
[1]
Below is a 2-piece molecular cluster, C2H5O2S3 overall in a non-equilibrium geometry, with properties calculated with the ωB97M-V functional and the def2-TZVPD basis.

Structure (XYZ):
```
12
Properties=species:S:1:pos:R:3:forces:R:3
C -0.4026 0.8475 0.3261 -0.5 3.4 -1.3
C -0.5999 -0.4234 -0.2935 0.1 -2.8 1.3
O 2.6143 -1.5581 0.3416 -1.2 1.2 0.2
O 2.3685 1.0559 -0.0350 0.7 0.3 0.8
S -0.4309 -1.8458 0.6154 0.0 0.2 0.0
S -1.3370 -0.5617 -1.8446 0.1 3.0 -1.0
S 2.6369 -0.2534 -0.7318 -0.7 -1.2 -0.2
H 0.6875 0.9380 0.6421 -0.7 0.4 -0.9
H -0.9820 1.0847 1.2466 0.0 -0.7 -0.6
H -0.7547 1.6463 -0.5121 1.3 -1.2 2.1
H 1.6359 -1.6108 0.6862 1.4 -0.3 -0.6
H -1.5628 -1.7994 -1.7884 -0.3 -2.5 0.1
```
Forces are in eV/Å.

As for the charge: -1. For the electronic energy, the calculation gives -38755.0653 eV. The value obtained for the strongest force on any atom is 3.7 eV/A. The value obtained for the HOMO energy (spin up / spin down) is -2.86 / -1.93 eV. The spin multiplicity is 1.

Mulliken atomic charge list, values in e, 2 entries: -0.62, 0.22

=====

[2]
Below is a 2-piece molecular cluster, C2H5O3 overall in a non-equilibrium geometry, with properties calculated with the ωB97M-V functional and the def2-TZVPD basis.

Structure (XYZ):
```
10
Properties=species:S:1:pos:R:3:forces:R:3
C 1.3221 -1.8892 -1.2430 2.4 -1.1 0.1
O 2.1503 -2.3737 -0.1526 -0.5 0.2 0.2
H 2.1493 -1.5248 -1.8638 -0.8 0.1 -0.6
H 0.9074 -2.8205 -1.6920 -0.5 1.2 -0.1
H 0.7058 -1.0379 -0.9590 -0.5 -0.4 -0.1
O -1.0125 3.5456 1.2770 0.0 0.2 0.4
C -2.1677 3.1032 1.3891 -0.4 -1.4 -1.1
O -2.5823 1.9091 1.3515 0.4 0.4 0.4
H -3.0272 3.8090 1.3837 0.0 0.7 0.3
H 1.5550 -2.7208 0.5091 -0.1 -0.1 0.4
```
Forces are in eV/Å.

As for the charge: -1. For the electronic energy, the calculation gives -8297.9422 eV. The value obtained for the strongest force on any atom is 2.6 eV/A. The value obtained for the HOMO energy is -3.66 eV. The spin multiplicity is 1.

Mulliken atomic charge list, values in e, 2 entries: -0.47, -0.50

=====

[3]
Below is a 2-piece molecular cluster, C2H5O3 overall in a non-equilibrium geometry, with properties calculated with the ωB97M-V functional and the def2-TZVPD basis.

Structure (XYZ):
```
10
Properties=species:S:1:pos:R:3:forces:R:3
C 1.0096 0.1957 1.3470 -1.0 0.1 0.2
O 1.2432 -0.7811 0.3889 0.3 -0.7 -0.8
H 0.8444 1.1776 0.8896 0.0 0.0 0.1
H 0.1095 -0.0552 1.9508 0.2 0.3 -0.2
H 1.8444 0.2624 2.0560 0.1 -0.1 -0.3
H 0.5155 -0.8530 -0.3162 0.2 0.4 0.9
O -1.3618 0.9776 -0.8326 0.1 0.2 0.1
C -1.3840 -0.0095 -1.5904 0.1 0.7 0.9
O -0.7382 -1.0794 -1.4490 -0.2 0.0 -0.6
H -2.0826 0.1648 -2.4440 0.1 -0.8 -0.4
```
Forces are in eV/Å.

As for the charge: -1. For the electronic energy, the calculation gives -8298.8534 eV. The value obtained for the strongest force on any atom is 1.1 eV/A. The value obtained for the HOMO energy is -4.44 eV. The spin multiplicity is 1.

Mulliken atomic charge list, values in e, 2 entries: -0.51, -0.56

=====

[4]
Below is one molecule with the formula C2H5OP in a non-equilibrium geometry, with properties calculated with the ωB97M-V functional and the def2-TZVPD basis.

Structure (XYZ):
```
9
Properties=species:S:1:pos:R:3:forces:R:3
C -0.9575 -0.8611 0.2969 0.2 4.0 2.1
C -0.3233 0.2409 0.6979 -1.2 0.7 0.4
O 0.9763 0.4594 0.3703 2.5 0.7 -0.2
P 1.7563 -0.1368 -1.2791 2.6 -0.9 0.6
H -0.6552 -1.5593 -0.3649 1.3 -2.1 -1.8
H -1.9447 -0.7644 0.5748 -2.2 -0.6 0.6
H -0.6957 1.1510 1.2830 0.0 -1.9 -0.7
H 1.2941 1.3719 0.1647 -0.8 -0.4 0.6
H 0.5497 0.0984 -1.7435 -2.4 0.5 -1.5
```
Forces are in eV/Å.

As for the charge: 0. For the electronic energy, the calculation gives -13486.8617 eV. The value obtained for the strongest force on any atom is 4.5 eV/A. The value obtained for the HOMO energy is -7.05 eV. The spin multiplicity is 1.

Mulliken atomic charge list, values in e, 2 entries: -0.86, 0.12

=====

[5]
└──

-- Job --
What is needed: repeat every line above that contains the word "for".

-- Reply --
As for the charge: -1. For the electronic energy, the calculation gives -38755.0653 eV. The value obtained for the strongest force on any atom is 3.7 eV/A. The value obtained for the HOMO energy (spin up / spin down) is -2.86 / -1.93 eV. The spin multiplicity is 1.
As for the charge: -1. For the electronic energy, the calculation gives -8297.9422 eV. The value obtained for the strongest force on any atom is 2.6 eV/A. The value obtained for the HOMO energy is -3.66 eV. The spin multiplicity is 1.
As for the charge: -1. For the electronic energy, the calculation gives -8298.8534 eV. The value obtained for the strongest force on any atom is 1.1 eV/A. The value obtained for the HOMO energy is -4.44 eV. The spin multiplicity is 1.
As for the charge: 0. For the electronic energy, the calculation gives -13486.8617 eV. The value obtained for the strongest force on any atom is 4.5 eV/A. The value obtained for the HOMO energy is -7.05 eV. The spin multiplicity is 1.